_Source_
-- begin --
Record 1
# RbAs7H24C8N3 (PBE, relaxed)
data_RbAs7H24C8N3
_cell_length_a 13.488
_cell_length_b 9.501
_cell_length_c 19.515
_cell_angle_alpha 90.00
_cell_angle_beta 100.86
_cell_angle_gamma 90.00
_symmetry_space_group_name_H-M 'P 1 21/c 1'
_symmetry_Int_Tables_number 14
loop_
_symmetry_equiv_pos_as_xyz
'x,y,z'
'-x,-y,-z'
'-x,y+1/2,-z+1/2'
'x,-y+1/2,z+1/2'
loop_
_atom_site_label
_atom_site_fract_x
_atom_site_fract_y
_atom_site_fract_z
Rb1 0.068 0.230 0.495
As1 0.142 0.686 0.149
As2 0.160 0.578 0.607
As3 0.173 0.641 0.960
As4 0.183 0.611 0.480
As5 0.244 0.559 0.078
As6 0.336 0.573 0.577
As7 0.401 0.696 0.107
H1 0.024 0.739 0.786
H2 0.044 0.112 0.305
H3 0.048 0.117 0.824
H4 0.054 0.122 0.674
H5 0.060 0.190 0.161
H6 0.134 0.019 0.780
H7 0.141 0.039 0.262
H8 0.175 0.120 0.347
H9 0.183 0.125 0.856
H10 0.236 0.129 0.710
H11 0.240 0.182 0.204
H12 0.292 0.232 0.786
H13 0.292 0.625 0.830
H14 0.333 0.636 0.272
H15 0.336 0.610 0.365
H16 0.345 0.632 0.751
H17 0.391 0.681 0.938
H18 0.398 0.513 0.822
H19 0.422 0.143 0.664
H20 0.437 0.174 0.187
H21 0.439 0.549 0.326
H22 0.484 0.124 0.570
H23 0.492 0.693 0.443
H24 0.496 0.195 0.748
C1 0.049 0.226 0.697
C2 0.123 0.116 0.809
C3 0.123 0.123 0.297
C4 0.233 0.228 0.739
C5 0.362 0.615 0.808
C6 0.381 0.630 0.324
C7 0.460 0.709 0.919
C8 0.473 0.223 0.692
N1 0.132 0.238 0.761
N2 0.331 0.231 0.431
N3 0.433 0.729 0.840
# Energy relative to the elements   -0.0003 eV/atom

Record 2
# Sn2As2H24C8S2O3 (PBE, relaxed)
data_Sn2As2H24C8S2O3
_cell_length_a 7.515
_cell_length_b 12.407
_cell_length_c 13.412
_cell_angle_alpha 70.52
_cell_angle_beta 74.52
_cell_angle_gamma 84.79
_symmetry_space_group_name_H-M 'P -1'
_symmetry_Int_Tables_number 2
loop_
_symmetry_equiv_pos_as_xyz
'x,y,z'
'-x,-y,-z'
loop_
_atom_site_label
_atom_site_fract_x
_atom_site_fract_y
_atom_site_fract_z
Sn1 0.049 0.364 0.078
Sn2 0.220 0.482 0.756
As1 0.033 0.814 0.646
As2 0.441 0.232 0.762
H1 0.041 0.367 0.673
H2 0.043 0.136 0.533
H3 0.064 0.726 0.497
H4 0.077 0.754 0.025
H5 0.086 0.504 0.319
H6 0.093 0.839 0.885
H7 0.119 0.502 0.573
H8 0.177 0.258 0.436
H9 0.193 0.114 0.751
H10 0.260 0.050 0.878
H11 0.264 0.731 0.918
H12 0.266 0.963 0.525
H13 0.271 0.873 0.201
H14 0.295 0.743 0.166
H15 0.337 0.884 0.647
H16 0.367 0.824 0.537
H17 0.371 0.269 0.108
H18 0.371 0.414 0.107
H19 0.409 0.038 0.752
H20 0.412 0.384 0.980
H21 0.426 0.490 0.251
H22 0.429 0.867 0.075
H23 0.453 0.645 0.736
H24 0.472 0.406 0.380
C1 0.040 0.219 0.470
C2 0.050 0.459 0.659
C3 0.119 0.755 0.940
C4 0.281 0.878 0.582
C5 0.309 0.092 0.789
C6 0.339 0.358 0.066
C7 0.366 0.818 0.160
C8 0.477 0.569 0.709
S1 0.154 0.076 0.287
S2 0.459 0.676 0.405
O1 0.057 0.679 0.743
O2 0.077 0.485 0.907
O3 0.286 0.311 0.834
# Energy relative to the elements   -0.3432 eV/atom

no.,raw total energy (eV/atom)
1,-4.949
2,-5.042


(1)
## CoB10H19C11 (PBE)

Data for a relaxed CoB10H19C11 crystal.

Cell lengths 7.2416, 9.2337, 12.2156 Å; angles 75.68, 88.15, 78.51 degrees
With the nearest neighbours (Å) after each atom.
Space group P-1 (No. 2)
One atom of each set of equivalent atoms:
Co1 0.2398 0.4377 0.2706 x2  7 C 2.01-2.20, 4 B 2.12-2.24
B1 0.0263 0.7943 0.1524 x2  1 H 1.20
B2 0.0428 0.6469 0.2763 x2  1 H 1.20
B3 0.0715 0.6010 0.1403 x2  1 H 1.20
B4 0.1586 0.8009 0.2684 x2  1 H 1.20
B5 0.1792 0.7417 0.0469 x2  1 H 1.19
B6 0.2522 0.8501 0.1340 x2  1 H 1.20
B7 0.2542 0.6199 0.3596 x2  1 H 1.20
B8 0.4126 0.7079 0.0907 x2  1 H 1.19
B9 0.4148 0.7263 0.2420 x2  1 H 1.20
B10 0.4817 0.5299 0.1936 x2  1 H 1.20
H1 0.0433 0.4475 0.9007 x2  1 B 1.20
H2 0.0959 0.3693 0.6690 x2  1 B 1.20
H3 0.1013 0.3274 0.4864 x2  1 C 1.09
H4 0.1062 0.6504 0.6996 x2  1 C 1.09
H5 0.1114 0.8952 0.3215 x2  1 B 1.20
H6 0.1214 0.1210 0.8757 x2  1 B 1.20
H7 0.1241 0.2493 0.1464 x2  1 C 1.09
H8 0.1400 0.7803 0.9485 x2  1 B 1.19
H9 0.1828 0.9670 0.7207 x2  1 C 1.09
H10 0.1942 0.9117 0.5312 x2  1 C 1.09
H11 0.2424 0.6115 0.4592 x2  1 B 1.20
H12 0.2743 0.9783 0.0977 x2  1 B 1.20
H13 0.3314 0.4944 0.0399 x2  1 C 1.09
-- stop --

_Exercise_
Copy everything earlier on without additions.

_Outcome_
Record 1
# RbAs7H24C8N3 (PBE, relaxed)
data_RbAs7H24C8N3
_cell_length_a 13.488
_cell_length_b 9.501
_cell_length_c 19.515
_cell_angle_alpha 90.00
_cell_angle_beta 100.86
_cell_angle_gamma 90.00
_symmetry_space_group_name_H-M 'P 1 21/c 1'
_symmetry_Int_Tables_number 14
loop_
_symmetry_equiv_pos_as_xyz
'x,y,z'
'-x,-y,-z'
'-x,y+1/2,-z+1/2'
'x,-y+1/2,z+1/2'
loop_
_atom_site_label
_atom_site_fract_x
_atom_site_fract_y
_atom_site_fract_z
Rb1 0.068 0.230 0.495
As1 0.142 0.686 0.149
As2 0.160 0.578 0.607
As3 0.173 0.641 0.960
As4 0.183 0.611 0.480
As5 0.244 0.559 0.078
As6 0.336 0.573 0.577
As7 0.401 0.696 0.107
H1 0.024 0.739 0.786
H2 0.044 0.112 0.305
H3 0.048 0.117 0.824
H4 0.054 0.122 0.674
H5 0.060 0.190 0.161
H6 0.134 0.019 0.780
H7 0.141 0.039 0.262
H8 0.175 0.120 0.347
H9 0.183 0.125 0.856
H10 0.236 0.129 0.710
H11 0.240 0.182 0.204
H12 0.292 0.232 0.786
H13 0.292 0.625 0.830
H14 0.333 0.636 0.272
H15 0.336 0.610 0.365
H16 0.345 0.632 0.751
H17 0.391 0.681 0.938
H18 0.398 0.513 0.822
H19 0.422 0.143 0.664
H20 0.437 0.174 0.187
H21 0.439 0.549 0.326
H22 0.484 0.124 0.570
H23 0.492 0.693 0.443
H24 0.496 0.195 0.748
C1 0.049 0.226 0.697
C2 0.123 0.116 0.809
C3 0.123 0.123 0.297
C4 0.233 0.228 0.739
C5 0.362 0.615 0.808
C6 0.381 0.630 0.324
C7 0.460 0.709 0.919
C8 0.473 0.223 0.692
N1 0.132 0.238 0.761
N2 0.331 0.231 0.431
N3 0.433 0.729 0.840
# Energy relative to the elements   -0.0003 eV/atom

Record 2
# Sn2As2H24C8S2O3 (PBE, relaxed)
data_Sn2As2H24C8S2O3
_cell_length_a 7.515
_cell_length_b 12.407
_cell_length_c 13.412
_cell_angle_alpha 70.52
_cell_angle_beta 74.52
_cell_angle_gamma 84.79
_symmetry_space_group_name_H-M 'P -1'
_symmetry_Int_Tables_number 2
loop_
_symmetry_equiv_pos_as_xyz
'x,y,z'
'-x,-y,-z'
loop_
_atom_site_label
_atom_site_fract_x
_atom_site_fract_y
_atom_site_fract_z
Sn1 0.049 0.364 0.078
Sn2 0.220 0.482 0.756
As1 0.033 0.814 0.646
As2 0.441 0.232 0.762
H1 0.041 0.367 0.673
H2 0.043 0.136 0.533
H3 0.064 0.726 0.497
H4 0.077 0.754 0.025
H5 0.086 0.504 0.319
H6 0.093 0.839 0.885
H7 0.119 0.502 0.573
H8 0.177 0.258 0.436
H9 0.193 0.114 0.751
H10 0.260 0.050 0.878
H11 0.264 0.731 0.918
H12 0.266 0.963 0.525
H13 0.271 0.873 0.201
H14 0.295 0.743 0.166
H15 0.337 0.884 0.647
H16 0.367 0.824 0.537
H17 0.371 0.269 0.108
H18 0.371 0.414 0.107
H19 0.409 0.038 0.752
H20 0.412 0.384 0.980
H21 0.426 0.490 0.251
H22 0.429 0.867 0.075
H23 0.453 0.645 0.736
H24 0.472 0.406 0.380
C1 0.040 0.219 0.470
C2 0.050 0.459 0.659
C3 0.119 0.755 0.940
C4 0.281 0.878 0.582
C5 0.309 0.092 0.789
C6 0.339 0.358 0.066
C7 0.366 0.818 0.160
C8 0.477 0.569 0.709
S1 0.154 0.076 0.287
S2 0.459 0.676 0.405
O1 0.057 0.679 0.743
O2 0.077 0.485 0.907
O3 0.286 0.311 0.834
# Energy relative to the elements   -0.3432 eV/atom

no.,raw total energy (eV/atom)
1,-4.949
2,-5.042


(1)
## CoB10H19C11 (PBE)

Data for a relaxed CoB10H19C11 crystal.

Cell lengths 7.2416, 9.2337, 12.2156 Å; angles 75.68, 88.15, 78.51 degrees
With the nearest neighbours (Å) after each atom.
Space group P-1 (No. 2)
One atom of each set of equivalent atoms:
Co1 0.2398 0.4377 0.2706 x2  7 C 2.01-2.20, 4 B 2.12-2.24
B1 0.0263 0.7943 0.1524 x2  1 H 1.20
B2 0.0428 0.6469 0.2763 x2  1 H 1.20
B3 0.0715 0.6010 0.1403 x2  1 H 1.20
B4 0.1586 0.8009 0.2684 x2  1 H 1.20
B5 0.1792 0.7417 0.0469 x2  1 H 1.19
B6 0.2522 0.8501 0.1340 x2  1 H 1.20
B7 0.2542 0.6199 0.3596 x2  1 H 1.20
B8 0.4126 0.7079 0.0907 x2  1 H 1.19
B9 0.4148 0.7263 0.2420 x2  1 H 1.20
B10 0.4817 0.5299 0.1936 x2  1 H 1.20
H1 0.0433 0.4475 0.9007 x2  1 B 1.20
H2 0.0959 0.3693 0.6690 x2  1 B 1.20
H3 0.1013 0.3274 0.4864 x2  1 C 1.09
H4 0.1062 0.6504 0.6996 x2  1 C 1.09
H5 0.1114 0.8952 0.3215 x2  1 B 1.20
H6 0.1214 0.1210 0.8757 x2  1 B 1.20
H7 0.1241 0.2493 0.1464 x2  1 C 1.09
H8 0.1400 0.7803 0.9485 x2  1 B 1.19
H9 0.1828 0.9670 0.7207 x2  1 C 1.09
H10 0.1942 0.9117 0.5312 x2  1 C 1.09
H11 0.2424 0.6115 0.4592 x2  1 B 1.20
H12 0.2743 0.9783 0.0977 x2  1 B 1.20
H13 0.3314 0.4944 0.0399 x2  1 C 1.09